┌──
## PmPr4Er2Mg (PBE)

Data for crystalline PmPr4Er2Mg at its relaxed geometry.

The space group is Pmmm (No. 47) and the conventional cell measures 5.759, 5.765 and 7.983 Å, with angles of 90.00, 90.00 and 90.00 degrees. The asymmetric unit holds Pm at (0.000, 0.000, 0.000), Pr at (0.000, 0.500, 0.268), Pr at (0.500, 0.000, 0.266), Er at (0.000, 0.000, 0.500), Er at (0.500, 0.500, 0.000) and Mg at (0.500, 0.500, 0.500).

As for the total magnetization: 0.00 μB per formula unit. As for the energy of formation from the pure elements: 41.6 kJ/mol of formula units.
└──

Your job: echo only the lines above with the word "No" in them.

The space group is Pmmm (No. 47) and the conventional cell measures 5.759, 5.765 and 7.983 Å, with angles of 90.00, 90.00 and 90.00 degrees. The asymmetric unit holds Pm at (0.000, 0.000, 0.000), Pr at (0.000, 0.500, 0.268), Pr at (0.500, 0.000, 0.266), Er at (0.000, 0.000, 0.500), Er at (0.500, 0.500, 0.000) and Mg at (0.500, 0.500, 0.500).